Why tax education is important to revenue and income management

Unrelated to this piece: calculated crystals:
CrCo3 | PBE-GGA | relaxed

Properties
Space-group type   No. 221

abc: 3.482 3.482 3.482
angles: 90.00 90.00 90.00
Fractional positions:
Cr  0.000  0.000  0.000
Co  0.000  0.500  0.500
Co  0.500  0.000  0.500
Co  0.500  0.500  0.000

***

Cr3Co | PBE-GGA | relaxed

Properties
Space-group type   No. 194

abc: 5.083 5.083 4.083
angles: 90.00 90.00 120.00
Fractional positions:
Cr  0.165  0.330  0.250
Cr  0.165  0.835  0.250
Cr  0.330  0.165  0.750
Cr  0.670  0.835  0.250
Cr  0.835  0.165  0.750
Cr  0.835  0.670  0.750
Co  0.333  0.667  0.750
Co  0.667  0.333  0.250

***

CrCo | PBE-GGA | relaxed

Properties
Space-group type   No. 221

abc: 2.851 2.851 2.851
angles: 90.00 90.00 90.00
Fractional positions:
Cr  0.000  0.000  0.000
Co  0.500  0.500  0.500

***

How do the records compare in formation enthalpy at 0 K? In the order shown, they have 0.0629; 0.2521; 0.1536 eV per atom.

* * * * *

1.
## Zr4Pt2N (r²SCAN)

Data for Zr4Pt2N after structural relaxation.

Summary:
- Size of the total moment: 0.0 μB/cell
- Formation energy: -1.341 eV per atom
- Calculated volume: 490.1 Å³/cell

Lattice parameters (Å, degrees): 8.850 8.850 8.850 60.00 60.00 60.00
Sites, in units of the cell vectors:
Pt 0.844 0.844 0.467
Pt 0.467 0.844 0.844
Pt 0.783 0.406 0.406
Pt 0.844 0.844 0.844
Pt 0.406 0.406 0.783
Pt 0.406 0.783 0.406
Pt 0.844 0.467 0.844
Pt 0.406 0.406 0.406
Zr 0.183 0.818 0.818
Zr 0.068 0.432 0.432
Zr 0.182 0.182 0.818
Zr 0.125 0.625 0.625
Zr 0.432 0.068 0.068
Zr 0.068 0.432 0.068
Zr 0.432 0.432 0.068
Zr 0.625 0.125 0.625
Zr 0.432 0.068 0.432
Zr 0.818 0.182 0.182
Zr 0.818 0.182 0.818
Zr 0.068 0.068 0.432
Zr 0.182 0.818 0.182
Zr 0.818 0.818 0.182
Zr 0.625 0.625 0.125
Zr 0.625 0.625 0.625
N 0.125 0.625 0.125
N 0.125 0.125 0.625
N 0.125 0.125 0.125
N 0.625 0.125 0.125

=====

2.
## PuN (r²SCAN)

Data for PuN after structural relaxation.

Summary:
- Size of the total moment: 4.9 μB/cell
- Formation energy: -1.675 eV per atom
- Calculated volume: 30.3 Å³/cell

Lattice parameters (Å, degrees): 3.499 3.499 3.499 60.00 60.00 60.00
Sites, in units of the cell vectors:
N 0.500 0.500 0.500
Pu 0.000 0.000 0.000

=====

Repeat the first record exactly.
## Zr4Pt2N (r²SCAN)

Data for Zr4Pt2N after structural relaxation.

Summary:
- Size of the total moment: 0.0 μB/cell
- Formation energy: -1.341 eV per atom
- Calculated volume: 490.1 Å³/cell

Lattice parameters (Å, degrees): 8.850 8.850 8.850 60.00 60.00 60.00
Sites, in units of the cell vectors:
Pt 0.844 0.844 0.467
Pt 0.467 0.844 0.844
Pt 0.783 0.406 0.406
Pt 0.844 0.844 0.844
Pt 0.406 0.406 0.783
Pt 0.406 0.783 0.406
Pt 0.844 0.467 0.844
Pt 0.406 0.406 0.406
Zr 0.183 0.818 0.818
Zr 0.068 0.432 0.432
Zr 0.182 0.182 0.818
Zr 0.125 0.625 0.625
Zr 0.432 0.068 0.068
Zr 0.068 0.432 0.068
Zr 0.432 0.432 0.068
Zr 0.625 0.125 0.625
Zr 0.432 0.068 0.432
Zr 0.818 0.182 0.182
Zr 0.818 0.182 0.818
Zr 0.068 0.068 0.432
Zr 0.182 0.818 0.182
Zr 0.818 0.818 0.182
Zr 0.625 0.625 0.125
Zr 0.625 0.625 0.625
N 0.125 0.625 0.125

The apathy that surrounds the subject of taxation, fueled by the increase in levels of mistrust and non-confidence in leadership amongst the citizenry, is hindering effective tax generation, thereby restricting financial contributions to collective development. Although some of the mistrust surrounding taxation are justified, it is pertinent that the citizens know how government revenues are […]

Why tax education is important to revenue and income management

The apathy that surrounds the subject of taxation, fueled by the increase in levels of mistrust and non-confidence in leadership amongst the citizenry, is hindering effective tax generation, thereby restricting financial contributions to collective development. Although some of the mistrust surrounding taxation are justified, it is pertinent that the citizens know how government revenues are being generated and used to develop the various sectors of governance.

Financial literacy is crucial and important, as it allows the average salary earner to realise how best his/her income could be effectively managed. A lot of income earners generate their salaries, without adequate knowledge of how they are effectively expending their incomes on their expenses. Knowledge about the workings of tax is a pathway to attaining positive financial literacy, towards creating a balanced nexus of incomes in relation to their resultant expenditures.

Tax education is also important in fueling civic action toward promoting policies that would aid the progressiveness of tax schemes and regimes. Adequate education on revenue, tax and financial schemes would drive a surge in the enactment of more laws, legislations and policies that could aid tax development. A nation with a sizeable number of individuals versed in tax education is poised to be driven to tube their tax policies to be in line with the best global standard practices, thereby boosting their chances towards economic stability and development, is bound to have better chances than a country with a low number of individuals versed in the workings of tax.

The promotion of tax education also aids tax advocacy and activism, thereby driving tax literacy at the grassroots. This is evident in the impacts of tax and revenue organisations poised in spreading the gospels of tax. The emergence of tax debates, walks, capacity building sessions and seminars promoted by tax clubs and organisations in tertiary institutions is a testament to this fact. Many budding enthusiasts and professionals have been beneficiaries of these opportunities provided by these resultant effects of tax education, which has gone a long way in building their career paths and skills.

Accountability is necessary for governance and tax education is an effective way of ensuring that government finances are properly incurred and not laundered. Knowledge of the workings of essential taxes like the Personal Income Tax, Education Tax, Companies Income Tax, Capital Gains Tax, Value Added Tax, Withholding Tax and other taxes would ensure that citizens are on the lookout for how these taxes are expended and how they are spent on expenditure and budgetary allowances. Tax education would also go a long way in ensuring that corrupt public officials are brought to book on the occasion of tax and financial laundering, towards promoting transparency in governance and public administration.

Tax education could be a necessary panacea toward boosting decentralised sectors and entrepreneurship. Experts in taxation are bound to be knowledgeable in how taxes work, and how they could optimise their organisations to reap the full benefits of tax. Startups and unicorns could also spring up as a result of these innovations, which would go a long way in job creation, business optimisation and economic development.

However, tax education is fraught with challenges and problems. In a research conducted by the International Centre for Tax and Development (ICTD),  low budget, tax apathy, low turn up and disinterest are identified as key challenges hindering tax education, especially in third world economies. However, if tax education is focused and simplified across all levels and boards, various sectors are bound to benefit from the effective dissemination of the workings of tax to the citizenry. Tax education is a pathway to effective income and revenue management, thereby boosting the chances for economic and financial innovation and development.


 Adedimeji Quayyim Abdul-Hafeez  can be reached via [email protected]